Brief:
Your job: search the lines underneath for the word "pos" and quote each line that has it.
Excerpt:
'''
(1)
Molecular formula: C29H30ClINO12P2S
Method: DFT, ωB97M-V/def2-TZVPD

XYZ file:
```
77
Properties=species:S:1:pos:R:3:mulliken_charge:R:1
I -3.33507 -4.62641 0.12467 -0.09
Cl -3.33158 2.86612 -1.08995 -0.45
S 2.75607 0.54074 0.29516 -0.28
P -0.85468 0.63374 -0.11857 1.39
P -1.88485 1.52150 -1.91677 0.02
O -2.68467 0.30121 -2.77976 -0.45
O -7.24394 1.20638 -1.64454 -0.54
O 7.44010 -2.03368 -1.34691 -0.57
O -0.42272 -0.62126 -1.23146 -0.50
O 0.21811 0.02095 1.15525 -0.53
O 4.67878 6.63335 -3.07263 -0.57
O -8.45174 6.09067 -3.30038 -0.57
O -0.15813 -2.37745 2.99937 -0.50
O 4.25122 -5.22427 1.43029 -0.57
O 1.93408 -1.59262 1.43046 -0.28
O 0.19850 -3.48083 8.16374 -0.57
O 3.70503 1.43351 -2.89970 -0.53
N -1.16978 2.05534 0.99609 -1.06
C 3.45900 4.81509 -3.93117 -0.36
C -0.32126 -1.89604 6.50522 -0.43
C 0.78894 -1.20350 -0.79721 -0.78
C 4.98077 -4.48942 0.79479 0.36
C 4.45542 5.43989 -3.03315 0.35
C -2.29823 -1.73902 0.84126 0.25
C -8.87829 2.66069 -2.49996 -0.38
C 4.78950 -3.02233 0.79777 -0.17
C -8.16991 4.97031 -2.92006 0.36
C 1.31979 -0.62747 0.58683 0.23
C 3.92733 2.62425 -2.93912 0.42
C 6.70617 -2.76314 -0.70962 0.39
C -9.18083 3.88839 -2.91733 -0.37
C 0.11609 -3.22823 6.97844 0.34
C -6.50468 3.40804 -2.02479 0.31
C 4.92333 3.24860 -2.04007 -0.21
C 6.09676 -5.03345 -0.01331 -0.35
C -7.51625 2.32641 -2.02234 0.27
C 6.89773 -4.23184 -0.71268 -0.40
C -2.56941 -2.65407 -0.38957 -1.01
C -6.81089 4.63634 -2.44339 -0.26
C 0.45067 -4.24236 5.95332 -0.38
C -2.42386 -0.20905 0.55523 -1.19
C 5.59176 -2.22143 0.09756 -0.44
C -0.07462 -2.63347 4.18266 0.25
C 3.21255 3.50679 -3.88730 -0.37
C -0.40931 -1.61944 5.20507 -0.33
C 5.16945 4.55672 -2.08436 -0.37
C 0.36293 -3.96606 4.65341 -0.33
H -3.13858 -0.31883 -2.19595 0.30
H 6.22120 -6.10914 -0.00244 0.40
H -1.34360 -1.99366 1.31680 -0.35
H 7.71786 -4.61099 -1.30956 0.40
H -3.31215 0.03859 -0.07122 0.53
H -2.63177 0.27277 1.53279 0.37
H 3.96904 -2.63934 1.39267 0.45
H -1.60009 -2.83717 -0.89576 0.35
H 5.43436 2.58648 -1.35245 0.41
H 1.54470 -1.07215 -1.59525 0.35
H -0.86673 2.86541 0.45419 0.32
H 0.60401 -4.69405 3.88880 0.46
H -10.17000 4.15185 -3.27055 0.39
H 2.48642 3.03221 -4.53487 0.43
H -0.47501 1.99076 1.73552 0.28
H -0.72615 -0.65115 4.83769 0.49
H 1.26633 -2.21191 1.77257 0.36
H 5.46502 -1.14622 0.08808 0.49
H -3.08245 -1.98732 1.59788 0.62
H 0.25957 1.43106 -0.59207 0.04
H -5.50917 3.14763 -1.67099 0.00
H 0.76779 -5.21082 6.31843 0.41
H -9.60470 1.85750 -2.49031 0.40
H 0.71729 -2.30340 -0.62894 0.20
H 5.89463 5.03104 -1.43553 0.40
H 2.94709 5.47694 -4.61782 0.40
H -3.22983 -2.21284 -1.15456 0.44
H 3.30679 0.19652 -0.91288 0.04
H -6.08508 5.43963 -2.45346 0.45
H -0.56216 -1.16756 7.26870 0.41
```

Its total charge is -1. The HOMO energy is -4.641 eV. Its orbital gap is 4.6482 eV. For the lowest unoccupied orbital energy, the calculation gives 0.007 eV.

(2)
Molecular formula: C4H9FN
Method: DFT, ωB97M-V/def2-TZVPD

XYZ file:
```
15
Properties=species:S:1:pos:R:3:nbo_charge:R:1
F 2.06633 0.74822 0.09738 -0.26
N 0.82715 -0.36678 0.10053 0.11
C -0.18107 1.79755 -0.19846 -0.69
C 1.25778 -1.61766 0.41870 -0.47
C -0.23045 0.32892 -0.12268 0.45
C -1.55641 -0.31224 -0.17425 -0.71
H 0.22022 2.15567 -1.13378 0.30
H 0.52993 2.18672 0.57714 0.30
H 0.56625 -2.32661 -0.05447 0.28
H 2.18433 -1.77176 -0.08162 0.29
H -1.81284 -1.38023 0.19167 0.29
H 1.37931 -1.74430 1.54226 0.27
H -1.77084 -0.39510 -1.30274 0.30
H -2.23026 0.47182 0.23468 0.28
H -1.24942 2.22577 -0.09434 0.26
```

Its total charge is +1. The value obtained for the relative energy (zero: lowest compared OMol25 entry of this formula, charge and spin) is 359.1 kJ/mol. The HOMO energy is -16.857 eV. Its orbital gap is 10.8367 eV. For the lowest unoccupied orbital energy, the calculation gives -6.020 eV.

(3)
Molecular formula: ClH2NS2
Method: DFT, ωB97M-V/def2-TZVPD

XYZ file:
```
6
Properties=species:S:1:pos:R:3:nbo_charge:R:1
Cl 2.40551 -0.38080 -0.34397 -0.51
S -0.77008 -0.79249 0.76578 0.41
S -0.28176 1.24058 -1.17206 0.52
'''
Done:
Properties=species:S:1:pos:R:3:mulliken_charge:R:1
Properties=species:S:1:pos:R:3:nbo_charge:R:1
Properties=species:S:1:pos:R:3:nbo_charge:R:1